## Material
[1]
Computed, not measured: an optimized crystal structure of Rb2TlBiBr6 at the PBE level of DFT.

## Properties
- space-group type = Fm-3m, No. 225
- energy of formation (eV/atom) = -1.4966

Unit cell a=8.5106 b=8.5106 c=8.5106 alpha=60.00 beta=60.00 gamma=60.00
Sites, in units of the cell vectors:
Br  0.2385  0.7615  0.7615
Br  0.7615  0.2385  0.7615
Br  0.7615  0.2385  0.2385
Br  0.2385  0.2385  0.7615
Tl  0.5000  0.5000  0.5000
Bi  0.0000  0.0000  0.0000
Br  0.7615  0.7615  0.2385
Rb  0.2500  0.2500  0.2500
Rb  0.7500  0.7500  0.7500
Br  0.2385  0.7615  0.2385

[2]
Computed, not measured: an optimized crystal structure of Sr3Ga2O12 at the PBE level of DFT.

## Properties
- space-group type = Ia-3d, No. 230
- energy of formation (eV/atom) = -1.4024

Unit cell a=11.9289 b=11.9289 c=11.9289 alpha=109.47 beta=109.47 gamma=109.47
Sites, in units of the cell vectors:
O  0.1879  0.1193  0.0518
Ga  0.0000  0.0000  0.5000
O  0.5686  0.9325  0.3807
Sr  0.6250  0.2500  0.8750
Ga  0.5000  0.0000  0.0000
O  0.6361  0.0675  0.9482
O  0.0675  0.9482  0.6361
O  0.9314  0.3121  0.3639
Sr  0.1250  0.3750  0.7500
O  0.8807  0.9482  0.8121
O  0.0518  0.3639  0.9325
O  0.5518  0.4325  0.8639
O  0.1879  0.5686  0.1361
O  0.6879  0.5518  0.6193
O  0.3807  0.3121  0.4482
O  0.0686  0.6879  0.6361
O  0.1361  0.1879  0.5686
O  0.5686  0.1361  0.1879
O  0.9314  0.1193  0.5675
O  0.6361  0.0686  0.6879
Sr  0.8750  0.7500  0.6250
O  0.3639  0.9325  0.0518
O  0.5675  0.9314  0.1193
O  0.9482  0.8121  0.8807
Sr  0.2500  0.3750  0.1250
Sr  0.2500  0.8750  0.6250
O  0.6193  0.6879  0.5518
Sr  0.7500  0.6250  0.8750
O  0.4325  0.0686  0.8807
O  0.5675  0.1361  0.4482
O  0.8121  0.4314  0.8639
O  0.1193  0.5675  0.9314
O  0.0675  0.6193  0.4314
O  0.1193  0.0518  0.1879
Ga  0.0000  0.0000  0.0000
O  0.3121  0.3639  0.9314
O  0.4325  0.8639  0.5518
O  0.4314  0.0675  0.6193
Ga  0.5000  0.5000  0.0000
O  0.8639  0.8121  0.4314
O  0.4482  0.5675  0.1361
Sr  0.7500  0.1250  0.3750
Ga  0.0000  0.5000  0.0000
O  0.6879  0.6361  0.0686
Sr  0.6250  0.8750  0.7500
O  0.8121  0.8807  0.9482
O  0.0686  0.8807  0.4325
Ga  0.0000  0.5000  0.5000
Ga  0.5000  0.0000  0.5000
O  0.4482  0.3807  0.3121
Sr  0.8750  0.6250  0.2500
Ga  0.5000  0.5000  0.5000
O  0.9325  0.0518  0.3639
Sr  0.1250  0.2500  0.3750
O  0.3807  0.5686  0.9325
O  0.4314  0.8639  0.8121
O  0.3121  0.4482  0.3807
O  0.3639  0.9314  0.3121
Sr  0.3750  0.1250  0.2500
O  0.5518  0.6193  0.6879
Sr  0.3750  0.7500  0.1250
O  0.6193  0.4314  0.0675
O  0.0518  0.1879  0.1193
O  0.9325  0.3807  0.5686
O  0.8639  0.5518  0.4325
O  0.1361  0.4482  0.5675
O  0.8807  0.4325  0.0686
O  0.9482  0.6361  0.0675

[3]
Computed, not measured: an optimized crystal structure of As2Se3 at the PBE level of DFT.

## Properties
- space-group type = P2_1/c, No. 14
- energy of formation (eV/atom) = -0.3966

Unit cell a=10.9676 b=4.5050 c=12.9154 alpha=69.99 beta=90.00 gamma=90.00
Sites, in units of the cell vectors:
Se  0.1263  0.8732  0.5976
As  0.3049  0.3777  0.2369
Se  0.8904  0.6869  0.8415
Se  0.3904  0.3131  0.6585
As  0.6821  0.8979  0.4834
Se  0.6263  0.1268  0.9024
Se  0.2881  0.5513  0.8805
Se  0.7881  0.4487  0.6195
Se  0.2119  0.5513  0.3805
As  0.6951  0.6223  0.7631
As  0.8179  0.8979  0.9834
As  0.8049  0.6223  0.2631
As  0.1951  0.3777  0.7369
As  0.3179  0.1021  0.5166
Se  0.8737  0.1268  0.4024
Se  0.1096  0.3131  0.1585
As  0.1821  0.1021  0.0166
Se  0.3737  0.8732  0.0976
Se  0.6096  0.6869  0.3415
Se  0.7119  0.4487  0.1195

[4]
Computed, not measured: an optimized crystal structure of ZnSnBiO5 at the PBE level of DFT.

## Properties
- space-group type = P2_1/c, No. 14
- energy of formation (eV/atom) = -1.6624

Unit cell a=11.1579 b=5.3328 c=8.8111 alpha=73.01 beta=90.00 gamma=90.00
Sites, in units of the cell vectors:
Zn  0.8938  0.4755  0.1442
Bi  0.6075  0.0570  0.3470
Sn  0.6122  0.8668  0.9298
Bi  0.8925  0.0570  0.8470
O  0.5329  0.2310  0.5281
O  0.7209  0.7216  0.4945
O  0.2209  0.2784  0.0055

## Activity
Next, retype every line further above that contains the word "Properties".

## Result
## Properties
## Properties
## Properties
## Properties